Tuesday, May 6, 2008

So Far So Good

Hi! I just got home from my jog/run/c25k w1d2 - another half an hour out with 60 second runs alternated with 90 second walks. It was quite easy - although I started with singlet, t-shirt and hoody, and ended up with the hoody around my waist. Which involved half running, half walking, while combating D's oversized hoodie to pull out my arms and then wrap it messily around my waist, trying to look semi-chic. Hehe, I didn't get the chic bit, but it did end up around my waist :)

There's one part of the track I run where I'm running next to the river, with some really nice houses on my right side, river on the left, and beautiful big trees giving shade as I go. It's only a small part (after all this is Inner City Sydney!) but those few minutes are really nice to run through.

My other favourite part of today's track was when I was running back through part of the end of the run, and slowed to the last 5 minutes walk, I go through a golf course. And one of the guys, a short happy looking man, was like "keep running! you can keep going!" in a very encouraging way. So I ran up over a bridge and back into the park, for some of my cool down time. Granted, as soon as I was out of his sight I pretty much walked again, but I felt like he had faith in me! You've got to find encouragement where it comes :)

Then walking home from where I finished (as I can't do 5k in 30 minutes yet!) I listenned to the first few songs from Colbie Collait's album Coco - very nice walking music (not enough angst to run to, actually no angst at all, but it's good to cool down walk to).

Materials data, kept here for reference >
<<<
(1)
First-principles (GGA-PBE) data for a geometry-optimized Li9Ga3P8O29 structure, as listed in the Materials Project database.

```
data_Li9Ga3P8O29
_space_group_name_H-M_alt 'P 1'
_space_group_IT_number 1
_space_group_name_Hall 'P 1'
_cell_length_a 9.7812
_cell_length_b 9.7812
_cell_length_c 13.7460
_cell_angle_alpha 90.00
_cell_angle_beta 90.00
_cell_angle_gamma 120.00
loop_
_atom_site_label
_atom_site_type_symbol
_atom_site_fract_x
_atom_site_fract_y
_atom_site_fract_z
Li1 Li 0.2350 0.8982 0.4365
Li2 Li 0.8982 0.6631 0.5635
Li3 Li 0.1018 0.7650 0.9365
Li4 Li 0.7650 0.1018 0.5635
Li5 Li 0.3333 0.6667 0.6197
Li6 Li 0.7650 0.6631 0.0635
Li7 Li 0.2350 0.3369 0.9365
Li8 Li 0.3369 0.2350 0.5635
Li9 Li 0.6667 0.3333 0.8803
Li10 Li 0.3369 0.1018 0.0635
Li11 Li 0.0000 0.0000 0.5000
Li12 Li 0.8982 0.2350 0.0635
Li13 Li 0.6667 0.3333 0.3803
Li14 Li 0.6631 0.7650 0.4365
Li15 Li 0.6631 0.8982 0.9365
Li16 Li 0.1018 0.3369 0.4365
Li17 Li 0.3333 0.6667 0.1197
Li18 Li 0.0000 0.0000 0.0000
Ga1 Ga 0.0000 0.5651 0.7500
Ga2 Ga 0.4349 0.4349 0.7500
Ga3 Ga 0.5651 0.0000 0.7500
Ga4 Ga 0.4349 0.0000 0.2500
Ga5 Ga 0.0000 0.4349 0.2500
Ga6 Ga 0.5651 0.5651 0.2500
P1 P 0.6667 0.3333 0.1254
P2 P 0.7735 0.6819 0.8436
P3 P 0.6819 0.7735 0.6564
P4 P 0.6667 0.3333 0.6254
P5 P 0.3181 0.0916 0.8436
P6 P 0.2265 0.9084 0.6564
P7 P 0.7735 0.0916 0.3436
P8 P 0.3333 0.6667 0.3746
P9 P 0.9084 0.2265 0.8436
P10 P 0.0916 0.3181 0.6564
P11 P 0.3333 0.6667 0.8746
P12 P 0.0916 0.7735 0.1564
P13 P 0.6819 0.9084 0.1564
P14 P 0.2265 0.3181 0.1564
P15 P 0.9084 0.6819 0.3436
P16 P 0.3181 0.2265 0.3436
O1 O 0.0000 0.7866 0.2500
O2 O 0.8126 0.3243 0.1635
O3 O 0.5117 0.1874 0.1635
O4 O 0.6266 0.1096 0.3329
O5 O 0.5117 0.3243 0.6635
O6 O 0.4883 0.8126 0.8365
O7 O 0.2269 0.9995 0.9332
O8 O 0.8904 0.5171 0.3329
O9 O 0.7866 0.7866 0.7500
O10 O 0.2547 0.3315 0.6566
O11 O 0.1096 0.6266 0.1671
O12 O 0.3315 0.2547 0.8434
O13 O 0.6757 0.1874 0.6635
O14 O 0.1874 0.6757 0.8365
O15 O 0.1874 0.5117 0.3365
O16 O 0.3734 0.8904 0.6671
O17 O 0.9232 0.2547 0.3434
O18 O 0.7866 0.0000 0.2500
O19 O 0.2273 0.0005 0.5668
O20 O 0.6667 0.3333 0.5151
O21 O 0.1096 0.4829 0.6671
O22 O 0.2134 0.0000 0.7500
O23 O 0.6757 0.4883 0.1635
O24 O 0.3315 0.0768 0.3434
O25 O 0.5171 0.8904 0.1671
O26 O 0.9995 0.2269 0.5668
O27 O 0.0000 0.2134 0.7500
O28 O 0.3333 0.6667 0.4849
O29 O 0.2273 0.2269 0.0668
O30 O 0.7731 0.0005 0.0668
O31 O 0.4883 0.6757 0.3365
O32 O 0.6266 0.5171 0.8329
O33 O 0.7727 0.9995 0.4332
O34 O 0.6685 0.7453 0.1566
O35 O 0.9995 0.7727 0.0668
O36 O 0.7727 0.7731 0.9332
O37 O 0.4829 0.1096 0.8329
O38 O 0.3243 0.5117 0.8365
O39 O 0.5171 0.6266 0.6671
O40 O 0.7453 0.6685 0.3434
O41 O 0.6685 0.9232 0.6566
O42 O 0.2547 0.9232 0.1566
O43 O 0.0005 0.7731 0.4332
O44 O 0.3243 0.8126 0.3365
O45 O 0.8126 0.4883 0.6635
O46 O 0.9232 0.6685 0.8434
O47 O 0.3734 0.4829 0.1671
O48 O 0.6667 0.3333 0.0151
O49 O 0.0768 0.3315 0.1566
O50 O 0.0768 0.7453 0.6566
O51 O 0.4829 0.3734 0.3329
O52 O 0.7731 0.7727 0.5668
>>>

I'm quite pleased with the run/walk and I'm looking forward to the third one.


On the food side, well, I haven't been hungry since I've had this Pain (which is a bit better today) but I've been trying to eat. Yesterday I managed breakfast, no lunch, then ordered in thai for dinner for me and D - I ate some which is good. Today I've managed 2 glasses of OJ (one before running, one after), and I picked at some of the prawn crackers left over from yesterday, thankfully there weren't that many left! And I've got a big bottle of cold water sitting here with me, staring me down, so I'll drink that, in fact I might have a glass now!

Meanwhile, I don't think it's good to stay at home as much as I have been. Especially in our little 1 bedroom unit that's 7 big steps wide and 11 big steps long (ish) - total. Yikes! This morning I didn't even want to get out of bed and face the day at home - I'm home from work still feeling dizzy and sore - but I love D, he just came and ate his special K in bed while I lay there whinging about the day ahead, and he stroked my head. On a tangent, this is the one thing I love about being sick - when I was little and I was sick my mum used to cuddle me and stroke my hot head with her cool hand. The first time I was sick when we were married I was like a little kid again "is my head hot? is it hot? feel it, I know it's hot" and D was all "I don't need to feel it - I can see you're sick!" so I had to take him back down memory lane with me, and now when I'm sick he'll give me a cuddle and feel my hot head with his cool hand.

Anyway, today I'm determined to get out of this unit! Operation Part One: Drive Dave to Station was a success. Operation Part Two: Do c25k run was another success! Operation Part Three: Drive to Domayne and Collect Prize* is about to be started. Ideally without me falling asleep again. I don't know if anyone else gets this, but when I get sick, all I want to do is sleep. But enough is enough - I'm reclaiming my days.


*I won a prize! I never win prizes! From a magazine too (check out SW Magazine via google) - and it comes with a hair curler ceramic thing too!


Briar said...

You're a great little journaller-
even when you're not well-
I hope you feel better soon!

Elisha said...

_Attached: materials data_
+++
# 1
Material: Li8Fe7CoP12O48
Method: DFT, GGA+U
State: optimized geometry

## Properties
Crystal system: triclinic
Calculated formation energy, meV per atom: -2380.1
Total DFT energy (no corrections), eV/atom: -6.7712
ρ, Mg/m³: 2.9

Lattice parameters (Å, degrees): 8.6634 8.7927 12.2246 89.97 89.99 89.94
Positions (direct):
Li (0.0000, 0.0000, 0.0000)
Li (0.0001, 0.0555, 0.3626)
Li (0.4343, 0.5556, 0.3625)
Li (0.4347, 0.4995, 0.9998)
Li (0.5001, 0.0005, 0.8626)
Li (0.5005, 0.0553, 0.5001)
Li (0.9343, 0.4999, 0.8625)
Li (0.9352, 0.5555, 0.5004)
Fe (0.4669, 0.7367, 0.5686)
Fe (0.4679, 0.2368, 0.2937)
Fe (0.4683, 0.8182, 0.0687)
Fe (0.9666, 0.3187, 0.0686)
Fe (0.9665, 0.7366, 0.2942)
Fe (0.9680, 0.8183, 0.7942)
Fe (0.9687, 0.2362, 0.5686)
Co (0.4653, 0.3191, 0.7929)
P (0.1114, 0.3845, 0.3284)
P (0.1113, 0.6708, 0.0342)
P (0.1797, 0.5270, 0.6812)
P (0.2570, 0.0283, 0.6810)
P (0.3229, 0.1707, 0.0332)
P (0.3233, 0.8846, 0.3284)
P (0.6112, 0.3851, 0.5349)
P (0.6115, 0.6703, 0.8276)
P (0.6776, 0.5276, 0.1815)
P (0.7569, 0.0276, 0.1813)
P (0.8215, 0.1728, 0.8279)
P (0.8232, 0.8846, 0.5344)
O (0.0428, 0.2637, 0.4072)
O (0.0428, 0.7920, 0.9554)
O (0.0548, 0.5101, 0.0013)
O (0.0550, 0.5453, 0.3615)
O (0.0610, 0.3438, 0.2120)
O (0.0609, 0.7114, 0.1507)
O (0.0710, 0.4388, 0.6028)
O (0.0720, 0.6135, 0.7619)
O (0.1441, 0.1734, 0.0247)
O (0.1444, 0.8822, 0.3373)
O (0.1612, 0.1355, 0.6102)
O (0.1616, 0.9209, 0.7527)
O (0.2749, 0.6348, 0.6103)
O (0.2763, 0.4185, 0.7534)
O (0.2905, 0.3817, 0.3374)
O (0.2903, 0.6733, 0.0254)
O (0.3662, 0.1159, 0.7615)
O (0.3656, 0.9403, 0.6023)
O (0.3736, 0.2117, 0.1496)
O (0.3741, 0.8440, 0.2120)
O (0.3800, 0.0098, 0.0009)
O (0.3800, 0.0455, 0.3613)
O (0.3923, 0.2921, 0.9550)
O (0.3917, 0.7639, 0.4073)
O (0.5427, 0.7904, 0.9070)
O (0.5438, 0.2635, 0.4561)
O (0.5542, 0.5082, 0.8611)
O (0.5546, 0.5453, 0.5013)
O (0.5611, 0.3430, 0.6516)
O (0.5609, 0.7111, 0.7117)
O (0.5694, 0.4398, 0.2607)
O (0.5694, 0.6153, 0.1019)
O (0.6418, 0.1755, 0.8367)
O (0.6444, 0.8821, 0.5254)
O (0.6605, 0.1351, 0.2525)
O (0.6607, 0.9205, 0.1102)
O (0.7739, 0.4202, 0.1102)
O (0.7740, 0.6350, 0.2525)
O (0.7899, 0.3822, 0.5261)
O (0.7902, 0.6723, 0.8373)
O (0.8653, 0.1153, 0.1021)
O (0.8653, 0.9400, 0.2607)
O (0.8728, 0.2118, 0.7116)
O (0.8742, 0.8436, 0.6509)
O (0.8770, 0.0109, 0.8614)
O (0.8797, 0.0453, 0.5014)
O (0.8907, 0.2922, 0.9072)
O (0.8917, 0.7636, 0.4555)

# 2
Material: CoSb2O4
Method: DFT, GGA+U
State: optimized geometry

## Properties
Crystal system: tetragonal
Calculated formation energy, meV per atom: -1630.3
Total DFT energy (no corrections), eV/atom: -6.0264
ρ, Mg/m³: 5.4

Lattice parameters (Å, degrees): 8.5877 8.5877 6.0995 90.00 90.00 90.00
Positions (direct):
Co (0.0000, 0.5000, 0.2500)
Co (0.0000, 0.5000, 0.7500)
Co (0.5000, 0.0000, 0.2500)
Co (0.5000, 0.0000, 0.7500)
Sb (0.1662, 0.1758, 0.0000)
Sb (0.1758, 0.8338, 0.5000)
Sb (0.3242, 0.3338, 0.5000)
Sb (0.3338, 0.6758, 0.0000)
Sb (0.6662, 0.3242, 0.0000)
Sb (0.6758, 0.6662, 0.5000)
+++

Hey Hey sweet girl, good to see you back and back in style, out running today- what a super star!! It wont take you long to zap them couple kilos back where they came from - Im really proud of you!! - I had a little giggle reading about the man who encouraged you - hehe kinda sweet really! Im still concerned about this " Pain" though, go get it checked it!!!!
Keep us updated too - We may have never met but i worry about you =)

Keep smiling, and stay focused your doing amazingly!!!